Bloukrans (Prince Albert District): Capitanian, South Africa

List of taxa
Where & when
Taphonomy & methods
Metadata & references
Taxonomic list
Amphibia - Temnospondyli - Rhinesuchidae
Rhinesuchus whaitsi Broom 1908
Boonstra 1969
Anningia megalops n. gen., n. sp. Broom 1927
Reisz and Dilkes 1992 1 individual
TMP N. 4024 (type)
Tapinocephalus atherstonei Owen 1876
Titanosuchus ferox Owen 1879
Parascapanodon avifontis Boonstra 1955
Boonstra 1969
Dicynodon haughtonianus n. sp. Huene 1931
Huene 1931
GPIT unumbered, well preserved partial skull and lower jaws
Dicynodon jouberti Broom 1905
10 specimens
Dicynodon megalorhinus (Broom 1904)
4 specimens
Therocephalia - Pristerognathidae
Alopecognathus angusticeps Broom 1915
Cynariognathus sp. Broom 1931
Pristerognathoides minor Haughton 1918
Pristerognathoides vanwyki n. sp. (Broom 1925)
Pristerognathoides parvus (Boonstra 1954)
Bradysaurus strubeni
see common names

Record 1
Diffraction record for Nd4SmDy7. The powder X-ray diffraction pattern is simulated, not measured: it uses DFT lattice parameters and positions (GGA-PBE) and Cu Kα, 1.54184 Å.

Principal peaks in the range 2θ from 5° to 70°, sorted by position:
2θ/deg	I/Imax
30.19	35
30.87	38
31.38	100
31.76	62
32.00	34
32.29	17
34.65	11
42.97	16
45.18	11
46.25	13
56.30	11
56.44	16

Cell and atoms:
a = 6.590 Å, b = 6.879 Å, c = 9.121 Å
α = 85.12°, β = 77.23°, γ = 81.86°
Fractional coordinates of all 12 atoms:
Nd1 0.139 0.309 0.284
Nd2 0.337 0.886 0.691
Nd3 0.663 0.114 0.309
Nd4 0.861 0.691 0.716
Sm1 0.500 0.500 0.000
Dy1 0.013 0.251 0.950
Dy2 0.180 0.802 0.359
Dy3 0.313 0.394 0.616
Dy4 0.500 0.000 0.000
Dy5 0.687 0.606 0.384
Dy6 0.820 0.198 0.641
Dy7 0.987 0.749 0.050

---

Record 2
Diffraction record for Ho5Sc2Al4. The powder X-ray diffraction pattern is simulated, not measured: it uses DFT lattice parameters and positions (GGA-PBE) and Cu Kα, 1.54184 Å.

Principal peaks in the range 2θ from 5° to 70°, sorted by position:
2θ/deg	I/Imax
14.56	49
19.51	38
23.62	25
25.84	23
28.13	48
31.74	31
35.09	100
35.27	38
35.49	25
38.39	24
45.92	24
59.20	23

Cell and atoms:
a = 8.324 Å, b = 8.324 Å, c = 8.324 Å
α = 144.40°, β = 104.81°, γ = 86.06°
Fractional coordinates of all 11 atoms:
Ho1 0.000 0.000 0.000
Ho2 0.130 0.288 0.842
Ho3 0.446 0.288 0.158
Ho4 0.554 0.712 0.842
Ho5 0.870 0.712 0.158
Sc1 0.175 0.675 0.500
Sc2 0.825 0.325 0.500
Al1 0.182 0.500 0.682
Al2 0.394 0.894 0.500
Al3 0.606 0.106 0.500
Al4 0.818 0.500 0.318

---

Record 3
Diffraction record for Sm6Y3HoEr2. The powder X-ray diffraction pattern is simulated, not measured: it uses DFT lattice parameters and positions (GGA-PBE) and Cu Kα, 1.54184 Å.

Principal peaks in the range 2θ from 5° to 70°, sorted by position:
2θ/deg	I/Imax
7.60	13
28.82	2
30.52	100
30.76	33
35.45	67
50.85	24
51.17	24
60.48	14
60.62	28
60.90	14
63.52	12
64.07	4

Cell and atoms:
a = 6.219 Å, b = 6.219 Å, c = 11.810 Å
α = 95.02°, β = 95.02°, γ = 119.98°
Fractional coordinates of all 12 atoms:
Sm1 0.083 0.417 0.752
Sm2 0.250 0.250 0.248
Sm3 0.417 0.083 0.752
Sm4 0.583 0.917 0.248
Sm5 0.750 0.750 0.752
Sm6 0.917 0.583 0.248
Y1 0.000 0.000 0.500
Y2 0.333 0.667 0.500
Y3 0.667 0.333 0.500
Ho1 0.500 0.500 0.000
Er1 0.167 0.833 0.000
Er2 0.833 0.167 0.000

---

Record 4
Diffraction record for In3SnPb2. The powder X-ray diffraction pattern is simulated, not measured: it uses DFT lattice parameters and positions (GGA-PBE) and Cu Kα, 1.54184 Å.

Principal peaks in the range 2θ from 5° to 70°, sorted by position:
2θ/deg	I/Imax
28.07	59
30.21	40
31.98	22
32.47	61
33.39	100
34.09	29
34.79	25
35.48	15
38.70	22
55.71	21
58.03	38
68.05	15

Cell and atoms:
a = 5.917 Å, b = 6.362 Å, c = 9.348 Å
α = 90.00°, β = 90.00°, γ = 90.00°
Fractional coordinates of all 12 atoms:
In1 0.000 0.000 0.000
In2 0.250 0.252 0.271
In3 0.250 0.748 0.271
In4 0.500 0.000 0.000
In5 0.750 0.252 0.729
In6 0.750 0.748 0.729
Sn1 0.250 0.500 0.570
Sn2 0.750 0.500 0.430

Country:South Africa State/province:Western Cape County:Prince Albert
Coordinates: 33.0° South, 22.0° East (view map)
Paleocoordinates:53.1° South, 28.6° West (Wright 2013)
Basis of coordinate:based on political unit
Geographic resolution:small collection
Period: Permian Epoch: Guadalupian
Stage: Capitanian 10 m.y. bin: Permian 4
Key time interval: Capitanian Zone:  Tapinocephalus or Pristerognathus Assemblage
Age range of interval: 264.28 - 259.51 m.y. ago
Geological group:Beaufort Formation:Abrahamskraal
Stratigraphic resolution:group of beds
Stratigraphy comments: "This locality is considered to be low in the Beaufort Group (middle of the 'Tapinocephalus zone,' Upper Permian) [...] " (Reisz & Dilkes, 1992). The middle Tapinocephalus Zone corresponds to the transition of the Tapinocephalus and Pristerognathus Assemblage Zones of Rubidge et al. (1995, South African Committee for Stratigraphy, Biostratigraphic Series No. 1).
Both Tapinocephalus and Pristerognathus AZs are Capitanian according to Catuneanu et al. (2005, J. Afr. Earth Sci. 43). Since the locality is west of 24°E it very likely is within the Abrahamskraal Fm. (cf. Catuneanu et al., 2005 figs. 24, 25).
Lithology and environment
Primary lithology: not reported
Environment:terrestrial indet. Tectonic setting:foreland basin
Modes of preservation:body
Size of fossils:macrofossils
Collection methods and comments
Collection excludes:some genera
Collection methods:mechanical,survey of museum collection
Reason for describing collection:taxonomic analysis
Museum repositories:TMP
Collection method comments: Specimen was poorly preserved already but was further badly damaged by serial sectioning using a relatively thick saw blade (Reisz & Dilkes, 1992).
TMP = Transvaal Museum, Pretoria
Taxonomic list comments:Reisz & Dilkes (1992) state that the locality "has yielded, in addition to A. megalops, several therapsids, including Dicynodon, Titanosuchus, Tapinocephalus, and three pristerognathid therocephalians."
Also known as:Bloukrantz, Blaaukranz
Database number:89650
Authorizer:J. Mueller, A. Dunhill, R. Butler Enterer:T. Liebrecht, B. Allen, J. Benito Moreno
Modifier:J. Benito Moreno Research group:vertebrate
Created:2009-06-11 06:31:37 Last modified:2025-02-22 15:12:02
Access level:the public Released:2009-06-11 06:31:37
Creative Commons license:CC0
Reference information

Primary reference:

(Attached: data records)
-- begin --
Diffraction record for MgV2NiTe2O10. The PXRD pattern is calculated, not measured: it uses the GGA+U geometry in the Materials Project and Cu Kα (λ = 1.5418 Å).
Peak positions follow from Bragg's law for the DFT cell and can differ from measured ones.

Structural model:
Lattice parameters (Å, degrees): 5.1466 6.4255 6.5711 82.20 78.27 66.89
Atoms (fractional coordinates):
Mg 0.0000 0.0000 0.0000
V 0.3203 0.0914 0.6555
V 0.7511 0.2892 0.4607
Ni 0.9997 0.6849 0.6045
Te 0.4991 0.8994 0.1965
Te 0.5328 0.4732 0.9379
O 0.1911 0.1070 0.3884
O 0.2237 0.8358 0.7382
O 0.2473 0.7436 0.1946
O 0.3362 0.3840 0.5984
O 0.3414 0.1022 0.9643
O 0.7019 0.2579 0.1685
O 0.7077 0.9866 0.5326
O 0.7683 0.6477 0.9168
O 0.7760 0.5539 0.4357
O 0.8517 0.2470 0.7580

Main lines, low angle first (10° ≤ 2θ ≤ 80°):
2θ/deg	d (Å)	I/Imax
19.01	4.669	57
21.07	4.216	42
21.61	4.112	35
25.37	3.511	48
26.10	3.414	46
29.10	3.069	67
30.42	2.939	64
30.81	2.902	100
32.60	2.747	85
38.74	2.324	45
41.82	2.160	25
47.00	1.933	22
-- stop --
(Back to the article)

27216. J. W. Kitching. 1977. The distribution of the Karroo vertebrate fauna. Memoirs of the Bernard Price Institute for Palaeontological Research 1:1-131 [H. Sims/J. Camp]

Secondary references:

Unrelated to this article: crystal structures:
- - -
Calculated X-ray diffraction stick pattern
Compound: MgCo4Ag4O8
Radiation: Cu Kα X-rays
Structure: a cell relaxed with GGA+U
No peak broadening, texture or thermal motion is included.

Structural model:
```
MgCo4Ag4O8
1.0
2.646 -1.537 0.000
2.646 1.537 0.000
-0.108 0.000 26.713
Mg Co Ag O
1 4 4 8
Direct
0.000 0.000 0.000
0.331 0.331 0.446
0.331 0.331 0.679
0.663 0.663 0.906
0.664 0.664 0.214
0.334 0.334 0.093
0.665 0.665 0.563
0.993 0.993 0.330
0.997 0.997 0.795
0.334 0.334 0.967
0.338 0.338 0.177
0.665 0.665 0.484
0.665 0.665 0.642
0.994 0.994 0.252
0.996 0.996 0.875
0.997 0.997 0.409
0.998 0.998 0.717
```

Main lines, in order of falling intensity (2θ from 10° to 90°):
- 2θ 35.23, intensity 100
- 2θ 34.40, intensity 98
- 2θ 30.11, intensity 79
- 2θ 39.51, intensity 53
- 2θ 35.40, intensity 50
- 2θ 60.51, intensity 49
- 2θ 34.55, intensity 47
- 2θ 26.70, intensity 46
- 2θ 36.37, intensity 39
- 2θ 37.80, intensity 38

=====

This entry pairs a crystal structure of CeGa8Pd4 with its calculated XRD peak list. Radiation: a wavelength of 1.5418 Å. Structure: DFT lattice parameters and positions (GGA-PBE).

The 8 most intense peaks (10° ≤ 2θ ≤ 90°), low angle first:
| Position (°2θ) | Rel. int. |
| --- | --- |
| 34.15 | 383 |
| 38.26 | 1000 |
| 39.81 | 778 |
| 40.31 | 672 |
| 43.46 | 645 |
| 45.32 | 314 |
| 62.77 | 237 |
| 71.92 | 279 |

Crystal structure
Cell lengths 6.906, 6.906, 6.906 Å; angles 99.23, 99.23, 132.79 degrees
Atoms (fractional coordinates):
Ce1 0.000 0.000 0.000
Ga1 0.000 0.349 0.349
Ga2 0.000 0.651 0.651
Ga3 0.281 0.500 0.781
Ga4 0.349 0.000 0.349
Ga5 0.500 0.281 0.781
Ga6 0.500 0.719 0.219
Ga7 0.651 0.000 0.651
Ga8 0.719 0.500 0.219
Pd1 0.000 0.000 0.500
Pd2 0.000 0.500 0.000
Pd3 0.500 0.000 0.000
Pd4 0.500 0.500 0.500

This entry pairs a crystal structure of PuHg3Pb with its calculated XRD peak list. Radiation: a wavelength of 1.5418 Å. Structure: DFT lattice parameters and positions (GGA-PBE).

The 8 most intense peaks (10° ≤ 2θ ≤ 90°), low angle first:
| Position (°2θ) | Rel. int. |
| --- | --- |
| 32.37 | 347 |
| 33.01 | 1000 |
| 34.67 | 883 |
| 35.08 | 470 |
| 48.47 | 231 |
| 48.78 | 215 |
| 61.49 | 218 |
| 67.41 | 266 |

Crystal structure
Cell lengths 5.116, 3.235, 16.003 Å; angles 90.00, 90.00, 90.00 degrees
Atoms (fractional coordinates):
Pu1 0.250 0.000 0.139
Pu2 0.750 0.000 0.861
Hg1 0.250 0.000 0.556
Hg2 0.250 0.500 0.767
Hg3 0.250 0.500 0.954
Hg4 0.750 0.000 0.444
Hg5 0.750 0.500 0.046
Hg6 0.750 0.500 0.233
Pb1 0.250 0.500 0.344
Pb2 0.750 0.500 0.656

This entry pairs a crystal structure of Tm2CoIr with its calculated XRD peak list. Radiation: a wavelength of 1.5418 Å. Structure: DFT lattice parameters and positions (GGA-PBE).

The 8 most intense peaks (10° ≤ 2θ ≤ 90°), low angle first:
| Position (°2θ) | Rel. int. |
| --- | --- |
| 37.78 | 259 |
| 37.98 | 253 |
| 38.21 | 1000 |
| 54.64 | 177 |
| 68.50 | 180 |
| 68.77 | 175 |
| 69.37 | 89 |
| 81.79 | 115 |

Crystal structure
- - -

67683 L. D. Boonstra. 1969. The fauna of the Tapinocephalus Zone (Beaufort Beds of the Karoo). Annals of the South African Museum 56(1):1-73 [A. Dunhill/B. Allen]
58372 F. v. Huene. 1931. Beitrag zur Kenntnis der Fauna der südafrikanischen Karrooformation. Geologische und Palaeontologische Abhandlung 18:157-228 [R. Butler/J. Benito Moreno/J. Benito Moreno]
30066 R. R. Reisz and D. W. Dilkes. 1992. The taxonomic position of Anningia megalops, a small amniote from the Permian of South Africa. Canadian Journal of Earth Sciences 29(7):1605-1608 [J. Mueller/T. Liebrecht]